What is a Comprehensive Hearing Evaluation and Why is it Important?

## Attached: records of crystals
/*
The following is a computed powder diffraction line list of BaSr7Co4Cu4O24. It was derived from a GGA+U-relaxed structure, using Cu Kα, 1.54184 Å.
Peak positions follow from Bragg's law for the DFT cell and can differ from measured ones.

Top 10 peaks for 5° ≤ 2θ ≤ 70°, by intensity:
d_spacing, I (rel.)
2.756, 100
1.949, 37
1.592, 28
1.379, 11
2.251, 11
1.377, 10
1.589, 9
7.796, 1
5.513, 1
3.486, 1

Cell and atoms:
a b c (Å): 7.796 7.796 7.796
angles (deg): 90.09 90.09 90.09
Fractional coordinates of all 40 atoms:
Ba 0.000 0.000 0.000
Sr 0.503 0.503 0.503
Sr 0.503 0.503 0.999
Sr 0.503 0.999 0.503
Sr 0.503 0.999 0.999
Sr 0.999 0.503 0.503
Sr 0.999 0.503 0.999
Sr 0.999 0.999 0.503
Co 0.252 0.252 0.252
Co 0.253 0.253 0.751
Co 0.253 0.751 0.253
Co 0.751 0.253 0.253
Cu 0.251 0.751 0.751
Cu 0.751 0.251 0.751
Cu 0.751 0.751 0.251
Cu 0.751 0.751 0.751
O 0.002 0.744 0.744
O 0.006 0.256 0.256
O 0.006 0.257 0.746
O 0.006 0.746 0.257
O 0.251 0.497 0.750
O 0.251 0.750 0.497
O 0.252 0.252 0.497
O 0.252 0.497 0.252
O 0.256 0.006 0.256
O 0.256 0.256 0.006
O 0.257 0.006 0.746
O 0.257 0.746 0.006
O 0.497 0.251 0.750
O 0.497 0.252 0.252
O 0.497 0.750 0.251
O 0.500 0.748 0.748
O 0.744 0.002 0.744
O 0.744 0.744 0.002
O 0.746 0.006 0.257
O 0.746 0.257 0.006
O 0.748 0.500 0.748
O 0.748 0.748 0.500
O 0.750 0.251 0.497
O 0.750 0.497 0.251
*/


What is a Comprehensive Hearing Evaluation and Why is it Important?

If you have good hearing, it’s easy to take it for granted. But if you’re one of the 36 million people that suffer from hearing impairments, you know first-hand that hearing loss is difficult to live with.

Hearing loss can negatively affect your social and emotional wellbeing due to the inability to understand and follow conversations. Hearing loss can become a roadblock at work, in relationships, and during enjoyable activities such as concerts and parties.

Hearing loss can occur for a number of reasons including age, illness, and genetics, and it is currently the third most common health problem in the U.S. But exponential hearing loss doesn’t have to be an accepted part of aging.

It’s important to catch hearing loss early in order to prevent deterioration. At WWMG, our Audiologist specializes in the evaluation, diagnosis, treatment, and management of hearing loss and balance disorders in families throughout all stages of life.

We offer a comprehensive hearing evaluation to help patients understand the full impact and causality of their hearing loss. Taking a comprehensive hearing evaluation early can give you a clear understanding of the health of your hearing, and help you manage and prevent further hearing loss.

What’s Involved in a Comprehensive Hearing Evaluation

A WWMG comprehensive hearing evaluation is a non-invasive hearing test that is performed by an Audiologist.

Here’s what you can expect during a comprehensive hearing evaluation at WWMG:

  • The Audiologist will begin by inspecting your eardrums with an otoscope.
  • Next, you will put on a pair of earphones in a soundproof test booth, where you will listen and respond to a series of sounds of descending volume.
  • At times you will be given prompts to raise your hand, push a button, or repeat what you heard through the earphones.
  • Your hearing thresholds for each pitch and ear are recorded throughout the test on a graph called an audiogram.
  • In addition to this test, your Audiologist may recommend further testing to gauge the health of your middle ear and inner ear function.

Types of Hearing Loss

If you suspect you may have hearing loss, have been diagnosed with hearing loss, or if you are considering visiting us at WWMG for a comprehensive hearing evaluation, it may be helpful to have a basic understanding of hearing loss. There are three types of hearing loss.

  • Conductive Hearing Loss – Due to problems with structures in the ear such as the ear canal, eardrum, or the bones in the middle ear.
  • Sensorineural Hearing Loss – Nerve-related hearing loss in the inner ear.
  • Mixed Hearing Loss – a combination of Conductive and Sensorineural Hearing Loss due to structural damage to the inner, middle, outer ear, or damage to the auditory nerve.

Causes of Hearing Loss

While there are many causes of hearing loss, the most common indicator of hearing loss is age. Age-related hearing loss is believed to be a product of genetics and/or lifetime exposure to damaging elements such as noise and medications.


Exposure to loud noise can damage sensitive structures in the inner ear, leading to noise-induced hearing loss (NIHL). NIHL can be temporary or permanent, in one or both ears. Without proper ear protection, loud construction sites, headphone use, concerts, and even vacuuming have the potential to damage hearing, especially when exposure is consistent. NIHL is preventable, and wearing ear protection and/or avoiding loud noise whenever possible, will help preserve your hearing.

# These calculated crystals were left in the piece by mistake
~~~
Calculated XRD peak list of MgV2Bi2Pb2O10 for copper Kα, from a DFT-relaxed cell (GGA+U, the Materials Project).
Neutral-atom scattering factors, no anomalous dispersion.

Atomic structure:
Cell lengths 6.0600, 6.9129, 7.8395 Å; angles 71.82, 80.94, 69.87 degrees
Space group P1 (No. 1)
Inequivalent atoms, fractional coordinates:
1 Mg 0.0000 0.0000 0.0000 [1 per cell]
2 V 0.5263 0.9376 0.9729 [1 per cell]
3 V 0.9223 0.2692 0.2231 [1 per cell]
4 Bi 0.1631 0.5497 0.8223 [1 per cell]
5 Bi 0.2875 0.6231 0.3451 [1 per cell]
6 Pb 0.6214 0.9301 0.4625 [1 per cell]
7 Pb 0.7801 0.3334 0.6353 [1 per cell]
8 O 0.1216 0.3176 0.3256 [1 per cell]
9 O 0.3162 0.8171 0.9497 [1 per cell]
10 O 0.4289 0.2193 0.8425 [1 per cell]
11 O 0.4339 0.6233 0.5866 [1 per cell]
12 O 0.5235 0.8516 0.2231 [1 per cell]
13 O 0.6350 0.3329 0.3594 [1 per cell]
14 O 0.8351 0.8666 0.8977 [1 per cell]
15 O 0.9219 0.3189 0.9769 [1 per cell]
16 O 0.9662 0.9714 0.2671 [1 per cell]
17 O 0.9817 0.5989 0.5849 [1 per cell]

Most intense lines, 15° ≤ 2θ ≤ 90°, in order of rising 2θ:
| hkl | d_spacing | Rel. int. |
| --- | --- | --- |
| 1 0 -1 | 4.397 | 49 |
| 1 -1 0 | 3.665 | 100 |
| 1 1 2 | 3.493 | 78 |
| 1 2 1 | 3.337 | 52 |
| 1 2 0 | 3.189 | 69 |
| 1 0 -2 | 3.034 | 62 |
| 2 1 1 | 2.950 | 33 |
| 0 1 -2 | 2.863 | 54 |
| 0 2 2 | 2.803 | 40 |
| 1 1 3 | 2.518 | 34 |



Calculated XRD peak list of CaV2P2H8O14 for copper Kα, from a DFT-relaxed cell (GGA+U, the Materials Project).
Neutral-atom scattering factors, no anomalous dispersion.

Atomic structure:
Cell lengths 6.3967, 6.4293, 6.6679 Å; angles 75.51, 86.39, 89.77 degrees
Space group P1 (No. 1)
Inequivalent atoms, fractional coordinates:
1 Ca 0.0000 0.0000 0.0000 [1 per cell]
2 V 0.2038 0.5254 0.3695 [1 per cell]
3 V 0.6960 0.9710 0.5383 [1 per cell]
4 P 0.1947 0.0018 0.4639 [1 per cell]
5 P 0.6921 0.5018 0.4461 [1 per cell]
6 H 0.1059 0.5810 0.9009 [1 per cell]
7 H 0.3022 0.7332 0.8579 [1 per cell]
8 H 0.3378 0.2196 0.0804 [1 per cell]
9 H 0.3604 0.2867 0.8287 [1 per cell]
10 H 0.5533 0.9886 0.9396 [1 per cell]
11 H 0.6254 0.7494 0.0205 [1 per cell]
12 H 0.7376 0.3801 0.9222 [1 per cell]
13 H 0.8646 0.3998 0.1139 [1 per cell]
14 O 0.0008 0.9852 0.6194 [1 per cell]
15 O 0.1737 0.8502 0.3171 [1 per cell]
16 O 0.1936 0.6690 0.9670 [1 per cell]
17 O 0.2023 0.4571 0.6215 [1 per cell]
18 O 0.2169 0.2296 0.3124 [1 per cell]
19 O 0.3596 0.1649 0.9534 [1 per cell]
20 O 0.3843 0.9432 0.5969 [1 per cell]
21 O 0.5146 0.5592 0.2906 [1 per cell]
22 O 0.6637 0.8839 0.9148 [1 per cell]
23 O 0.6686 0.2698 0.5818 [1 per cell]
24 O 0.6963 0.6488 0.5956 [1 per cell]
25 O 0.7411 0.0181 0.2859 [1 per cell]
26 O 0.8758 0.3599 0.9779 [1 per cell]
27 O 0.8976 0.5297 0.3001 [1 per cell]

Most intense lines, 15° ≤ 2θ ≤ 90°, in order of rising 2θ:
| hkl | d_spacing | Rel. int. |
| --- | --- | --- |
| 1 0 -1 | 4.396 | 41 |
| 0 1 -1 | 4.003 | 27 |
| 0 0 2 | 3.221 | 60 |
| 0 1 2 | 3.207 | 28 |
| 2 0 0 | 3.192 | 79 |
| 0 2 1 | 3.126 | 67 |
| 0 2 0 | 3.112 | 100 |
~~~


Some medications have a history of damaging the inner ear, leading to impaired hearing or balance. Ringing in the ears (tinnitus) and vertigo are common symptoms of medication-induced hearing loss. Common medications such as large doses of Asprin have been known to cause hearing loss. Learn more about medications that can cause hearing loss here, and stay alert. If you have sudden or unexplained hearing loss after starting a new medication, report it to your physician.

### Inserted here: crystal structures
/*
1.
For NaGa2Rh, a DFT-relaxed cell (PBE, Alexandria) gives the calculated powder diffractogram in this record (Cu Kα X-rays).
Lines closer than 0.1° are merged.

Structure:
a = 4.2884 Å, b = 4.2884 Å, c = 16.2762 Å
α = 90.00°, β = 90.00°, γ = 120.00°
Space group R3m (No. 160, hexagonal axes)
Inequivalent atoms, fractional coordinates:
Na  0.0000  0.0000  0.0000 x3
Ga  0.0000  0.0000  0.5401 x3
Ga  0.0000  0.0000  0.8068 x3
Rh  0.0000  0.0000  0.1813 x3

Most intense lines, 10 to 90 degrees two-theta, by angle:
- 2θ 16.34, 5.425 Å, I 100, hkl 0 0 3
- 2θ 26.38, 3.379 Å, I 14, hkl 0 1 2
- 2θ 33.02, 2.713 Å, I 13, hkl 0 0 6
- 2θ 36.71, 2.448 Å, I 39, hkl 0 1 5
- 2θ 42.14, 2.144 Å, I 51, hkl 1 1 0
- 2θ 45.49, 1.994 Å, I 43, hkl 1 1 3
- 2θ 51.20, 1.784 Å, I 17, hkl 0 1 8
- 2θ 54.55, 1.682 Å, I 18, hkl 1 1 6

2.
For Na8GaS6, a DFT-relaxed cell (PBE, Alexandria) gives the calculated powder diffractogram in this record (Cu Kα X-rays).
Lines closer than 0.1° are merged.

Structure:
a = 7.628 Å, b = 8.140 Å, c = 11.849 Å
α = 90.00°, β = 90.00°, γ = 90.00°
Space group Pmn2_1 (No. 31)
Inequivalent atoms, fractional coordinates:
Na  0.000  0.135  0.000 x2
Na  0.000  0.238  0.439 x2
Na  0.206  0.571  0.790 x4
Na  0.215  0.715  0.111 x4
Na  0.219  0.944  0.769 x4
Ga  0.000  0.746  0.488 x2
S  0.000  0.257  0.217 x2
S  0.000  0.507  0.592 x2
S  0.000  0.784  0.931 x2
S  0.000  0.988  0.587 x2
S  0.215  0.746  0.349 x4

Most intense lines, 10 to 90 degrees two-theta, by angle:
- 2θ 13.81, 6.414 Å, I 73, hkl 1 0 1
- 2θ 21.88, 4.062 Å, I 85, hkl 0 2 0
- 2θ 25.93, 3.437 Å, I 47, hkl 1 2 1
- 2θ 26.57, 3.355 Å, I 39, hkl 0 2 2
- 2θ 26.89, 3.316 Å, I 48, hkl 2 1 1
- 2θ 27.82, 3.207 Å, I 100, hkl 2 0 2
- 2θ 41.55, 2.173 Å, I 41, hkl 2 3 1
- 2θ 44.68, 2.028 Å, I 87, hkl 2 2 4

3.
For Na4Ga2S5, a DFT-relaxed cell (PBE, Alexandria) gives the calculated powder diffractogram in this record (Cu Kα X-rays).
Lines closer than 0.1° are merged.

Structure:
a = 8.043 Å, b = 6.163 Å, c = 20.098 Å
α = 90.00°, β = 91.44°, γ = 90.00°
Space group P2_1/c (No. 14)
Inequivalent atoms, fractional coordinates:
Na  0.076  0.243  0.044 x4
Na  0.109  0.001  0.702 x4
Na  0.345  0.525  0.783 x4
Na  0.402  0.543  0.603 x4
Ga  0.167  0.066  0.865 x4
Ga  0.346  0.586  0.963 x4
S  0.091  0.023  0.173 x4
S  0.135  0.071  0.402 x4
S  0.258  0.564  0.470 x4
S  0.369  0.014  0.792 x4
S  0.388  0.024  0.574 x4

Most intense lines, 10 to 90 degrees two-theta, by angle:
- 2θ 13.93, 6.356 Å, I 100, hkl 1 0 -2
- 2θ 18.74, 4.736 Å, I 43, hkl 1 1 1
- 2θ 19.58, 4.535 Å, I 69, hkl 0 1 3
- 2θ 26.47, 3.367 Å, I 30, hkl 2 1 0
- 2θ 28.98, 3.081 Å, I 87, hkl 0 2 0
- 2θ 30.38, 2.942 Å, I 29, hkl 0 1 6
- 2θ 34.44, 2.604 Å, I 75, hkl 2 0 -6
- 2θ 35.31, 2.542 Å, I 51, hkl 2 0 6

4.
For Na2GaSbS4, a DFT-relaxed cell (PBE, Alexandria) gives the calculated powder diffractogram in this record (Cu Kα X-rays).
Lines closer than 0.1° are merged.

Structure:
a = 9.238 Å, b = 7.518 Å, c = 6.025 Å
*/


Some forms of hearing loss are caused by genetic mutations, and passed down through generations. It is estimated that age-related hearing loss is 35-55% genetic.

Talk to your physician about taking a comprehensive hearing evaluation if you experience any changes in your hearing, as hearing loss can also be a symptom of these and other serious problems such as ear infections, allergies, head trauma, middle ear fluid, tumors, Multiple Sclerosis, or Meniere’s disease.

Signs You May Have Hearing Loss

Hearing loss is oftentimes irreversible, so it’s important to protect your ears. However, because hearing loss typically occurs gradually over time, it’s not always easy to identify it before it becomes a problem. Some symptoms of hearing loss include:

  • Difficulty maintaining a conversation in noisy environments such as restaurants, sidewalks, and in cars.
  • People seem to mumble all the time.
  • People around you need to repeat themselves often.
  • Difficulty hearing people when they aren’t facing you, or when they call for you from another room.
  • Ringing or buzzing in your ears.

If this list of symptoms sounds familiar, take this more complete online hearing test to see if you should talk to your physician about getting tested for hearing loss.

If you or someone you know believes they may be experiencing hearing loss, talk to your primary care provider about being referred to the WWMG Audiology department for a comprehensive hearing evaluation.